Each student shares "My Story", including future goals, in front of peers and family.

About the school

Chiloquin Junior/Senior High School, Chiloquin, Oregon

  • 121 students in grades 7-12
  • 76% eligible for free and reduced lunch
  • 59% students of color

GEAR UP highlight

Chiloquin student runs the t-shirt press

One thing that GEAR UP has helped Chiloquin Jr./Sr. High School with is our student-run business. Due to the funding GEAR UP has provided, we were able to expand our business and include operations that are relevant to our community. GEAR UP also inspired our business through the trip to Hermiston High School where we were able to see multiple student-run businesses not only up and running, but excelling and impacting the community. This is a goal we have for our business.

The impact of GEAR UP

Graph of educator knowledge of financial aid

One GEAR UP activity that helped our students was the FAFSA Night last year. While this allowed multiple students to afford college, one student in particular was able to get a full ride to college through grants and scholarships. This particular student was planning on going into a medical program and really needed the financial aid. Because of the knowledge our GEAR UP team members had, we were able to walk this student through the steps they needed to find and fill out all applications. We were able to support them when they needed it and tell them it was worth it when they felt overwhelmed and exhausted. They were able to follow their dream and are doing well.

What has helped your school be successful in implementing GEAR UP?

Being in a school where staff and admin have a good and mutually respectful relationship has been really helpful in implementing GEAR UP. Because of these good relationships, anyone can present ideas on how to either improve an existing activity or create a new activity, all while being heard and having their idea truly considered. It has been amazing to watch the GEAR UP program grow in our school over the two years I have been here and it is because of the allowed open communication between staff and our principal.

[Here the entry breaks off for crystal structures]
'''
Diffraction record for Tb2CClF. The PXRD pattern is theoretical, not measured: it uses a DFT-relaxed cell (PBE, OQMD) and Cu Ka.
Intensities are scaled so that the largest is 100.

Atomic structure:
Unit cell a=3.6729 b=3.6729 c=7.8692 alpha=90.00 beta=90.00 gamma=120.00
Space group P3m1 (No. 156)
Asymmetric unit:
1 Tb 0.0000 0.0000 0.0000 (multiplicity 1)
2 Tb 0.3333 0.6667 0.3468 (multiplicity 1)
3 C 0.6667 0.3333 0.1630 (multiplicity 1)
4 Cl 0.3333 0.6667 0.7651 (multiplicity 1)
5 F 0.0000 0.0000 0.4682 (multiplicity 1)

Most intense lines, 5 to 70 degrees two-theta, low angle first:
- (0 0 1), 11.24°, intensity 49
- (0 0 2), 22.60°, intensity 21
- (1 0 0), 28.05°, intensity 38
- (0 1 1), 30.31°, intensity 93
- (1 0 2), 36.32°, intensity 100
- (1 1 0), 49.64°, intensity 37
- (0 1 4), 54.87°, intensity 26
- (1 1 3), 61.65°, intensity 23

* * * * *

For Tc4Mo2Os3, a structure optimized by DFT (PBE) gives the computed X-ray diffraction stick pattern in this record (Cu Kα X-rays).
Lines closer than 0.1° are merged.

Atomic structure:
Cell: 5.4054 6.6015 7.9616 Å, 77.38 81.22 78.92°
Element x y z (fractional)
Tc1 0.0050 0.1752 0.3982
Tc2 0.1784 0.5248 0.1980
Tc3 0.3471 0.8321 0.2941
Tc4 0.4311 0.8433 0.9420
Tc5 0.5689 0.1567 0.0580
Tc6 0.6529 0.1679 0.7059
Tc7 0.8216 0.4752 0.8020
Tc8 0.9950 0.8248 0.6018
Mo1 0.2879 0.4967 0.8732
Mo2 0.4950 0.1839 0.3931
Mo3 0.5050 0.8161 0.6069
Mo4 0.7121 0.5033 0.1268
Os1 0.0811 0.1530 0.0565
Os2 0.1579 0.1158 0.7173
Os3 0.2575 0.4817 0.5463
Os4 0.7425 0.5183 0.4537
Os5 0.8421 0.8842 0.2827
Os6 0.9189 0.8470 0.9435

Main lines, low angle first (5° ≤ 2θ ≤ 70°):
two_theta, I/Imax
39.1, 72
40.3, 100
40.5, 32
40.6, 93
40.7, 94
42.7, 88
44.6, 86
52.5, 24



For Tc2Mo2Os5, a structure optimized by DFT (PBE) gives the computed X-ray diffraction stick pattern in this record (Cu Kα X-rays).
Lines closer than 0.1° are merged.

Atomic structure:
Cell: 4.7742 4.7742 8.2740 Å, 106.96 106.96 47.97°
Element x y z (fractional)
Tc1 0.1641 0.1641 0.3897
Tc2 0.8359 0.8359 0.6103
Mo1 0.1676 0.1676 0.0589
Mo2 0.8324 0.8324 0.9411
Os1 0.1635 0.1635 0.7181
Os2 0.4974 0.4974 0.8289
Os3 0.5000 0.5000 0.5000
Os4 0.5026 0.5026 0.1711
Os5 0.8365 0.8365 0.2819

Main lines, low angle first (5° ≤ 2θ ≤ 70°):
two_theta, I/Imax
25.4, 2
40.1, 100
46.5, 16
46.7, 16
46.8, 16
68.0, 11
68.1, 11
68.3, 10



For TcMoOs, a structure optimized by DFT (PBE) gives the computed X-ray diffraction stick pattern in this record (Cu Kα X-rays).
Lines closer than 0.1° are merged.

Atomic structure:
Cell: 6.2632 6.2632 6.2632 Å, 154.61 154.61 36.21°
Element x y z (fractional)
Tc1 0.0000 0.0000 0.0000
Mo1 0.6788 0.6788 0.0000
Os1 0.3493 0.3493 0.0000

Main lines, low angle first (5° ≤ 2θ ≤ 70°):
two_theta, I/Imax
14.9, 19
33.4, 7
39.9, 100
45.7, 16
46.7, 32
50.7, 6
67.4, 20
68.1, 10



For TeMo3Os, a structure optimized by DFT (PBE) gives the computed X-ray diffraction stick pattern in this record (Cu Kα X-rays).
Lines closer than 0.1° are merged.
'''

Because of GEAR UP...

Chiloquin students holding college acceptance letters

  • We are able to provide the students of Chiloquin with the opportunity to go out and see other parts of Oregon.
  • We are able to learn about and use resources to encourage and support our students when planning to go to college and when applying and finding the means to pay their tuition.
  • We implemented a plan that got everyone in the school involved, encouraged our students to work hard to reach their full potential, and helped and encouraged our staff to acknowledge and celebrate the growth and progress our students are making every day.

Information provided by GEAR UP Coordinator Chelsea Wedam.